hypertonic saline


Super Moderator
I took maggie to her CF clinic appointment today. She's doing pretty good, lungs were clear, but after having cold after cold this winter it's left her with a dry cough. The doc said we could try the Hypertonic saline to see if it helps. We already did the first treatment in the office and she was coughing away while doing the treatment. We also did a culture to make sure she isn't growing anything new. Though the person who did they culture was so gentle I don't think it was a good culture, we'll see. Anyway, the script I need to send to CF Services Pharmacy, our clinic said that's where they are telling their patients to send it. So we won't really be starting the HS til next week is my guess. If her cough gets worse, or keeps her up at night my guess is she'll need antibiotics, I 'm hoping the HS will help with this. I'm curious how others like or dislike the HS, especially for the young CF'ers(like Maggie). I'll keep ya updated!


Super Moderator
I took maggie to her CF clinic appointment today. She's doing pretty good, lungs were clear, but after having cold after cold this winter it's left her with a dry cough. The doc said we could try the Hypertonic saline to see if it helps. We already did the first treatment in the office and she was coughing away while doing the treatment. We also did a culture to make sure she isn't growing anything new. Though the person who did they culture was so gentle I don't think it was a good culture, we'll see. Anyway, the script I need to send to CF Services Pharmacy, our clinic said that's where they are telling their patients to send it. So we won't really be starting the HS til next week is my guess. If her cough gets worse, or keeps her up at night my guess is she'll need antibiotics, I 'm hoping the HS will help with this. I'm curious how others like or dislike the HS, especially for the young CF'ers(like Maggie). I'll keep ya updated!


Super Moderator
I took maggie to her CF clinic appointment today. She's doing pretty good, lungs were clear, but after having cold after cold this winter it's left her with a dry cough. The doc said we could try the Hypertonic saline to see if it helps. We already did the first treatment in the office and she was coughing away while doing the treatment. We also did a culture to make sure she isn't growing anything new. Though the person who did they culture was so gentle I don't think it was a good culture, we'll see. Anyway, the script I need to send to CF Services Pharmacy, our clinic said that's where they are telling their patients to send it. So we won't really be starting the HS til next week is my guess. If her cough gets worse, or keeps her up at night my guess is she'll need antibiotics, I 'm hoping the HS will help with this. I'm curious how others like or dislike the HS, especially for the young CF'ers(like Maggie). I'll keep ya updated!


New member
Hi Rebecca,

My daughter just started HS last week and we haven't had any problems with it at all. She doesn't complain about the taste, actually said it tasted good. The nurse from the CF Clinic called to ask how things were going and I had to ask her if it was normal for her NOT to cough. I was expecting it to be non-stop and in reality she wasn't coughing at all the first week and just a little bit yesterday and today.

I'm not sure about insurances yet, we were told that there are very few, if any, that are covering HS at this time so our cf clinic recommended we go through Foundation Care. www.FoundCare.com

They charge $36 for a months supply (twice a day) and it's pre-mixed in ampules just like albuterol or any other nebbed meds. So much easier than trying to mix yourself.

Hope all goes well with Maggie


New member
Hi Rebecca,

My daughter just started HS last week and we haven't had any problems with it at all. She doesn't complain about the taste, actually said it tasted good. The nurse from the CF Clinic called to ask how things were going and I had to ask her if it was normal for her NOT to cough. I was expecting it to be non-stop and in reality she wasn't coughing at all the first week and just a little bit yesterday and today.

I'm not sure about insurances yet, we were told that there are very few, if any, that are covering HS at this time so our cf clinic recommended we go through Foundation Care. www.FoundCare.com

They charge $36 for a months supply (twice a day) and it's pre-mixed in ampules just like albuterol or any other nebbed meds. So much easier than trying to mix yourself.

Hope all goes well with Maggie


New member
Hi Rebecca,

My daughter just started HS last week and we haven't had any problems with it at all. She doesn't complain about the taste, actually said it tasted good. The nurse from the CF Clinic called to ask how things were going and I had to ask her if it was normal for her NOT to cough. I was expecting it to be non-stop and in reality she wasn't coughing at all the first week and just a little bit yesterday and today.

I'm not sure about insurances yet, we were told that there are very few, if any, that are covering HS at this time so our cf clinic recommended we go through Foundation Care. www.FoundCare.com

They charge $36 for a months supply (twice a day) and it's pre-mixed in ampules just like albuterol or any other nebbed meds. So much easier than trying to mix yourself.

Hope all goes well with Maggie


New member
I'm not surprised that a kid would say it tastes good. Its salty and you know us and salt! I like the HTS. I was using pulmozyme for about a year and a half and I thought it was great, but then I did a research study where they used HTS for sputum induction (to get a good sample) and I coughed up an appalling amount of stuff! It was so gross and I had no idea it was in there. I switched to HTS at my next clinic appointment and haven't looked back. WHen I feel good I don't generally bring up tons of stuff like when I first started, but I notice a huge difference when I'm sick.


New member
I'm not surprised that a kid would say it tastes good. Its salty and you know us and salt! I like the HTS. I was using pulmozyme for about a year and a half and I thought it was great, but then I did a research study where they used HTS for sputum induction (to get a good sample) and I coughed up an appalling amount of stuff! It was so gross and I had no idea it was in there. I switched to HTS at my next clinic appointment and haven't looked back. WHen I feel good I don't generally bring up tons of stuff like when I first started, but I notice a huge difference when I'm sick.


New member
I'm not surprised that a kid would say it tastes good. Its salty and you know us and salt! I like the HTS. I was using pulmozyme for about a year and a half and I thought it was great, but then I did a research study where they used HTS for sputum induction (to get a good sample) and I coughed up an appalling amount of stuff! It was so gross and I had no idea it was in there. I switched to HTS at my next clinic appointment and haven't looked back. WHen I feel good I don't generally bring up tons of stuff like when I first started, but I notice a huge difference when I'm sick.


New member
Our doc keeps saying he "wants to talk about HS" at our next visit but so far he has put if off. But our next visit is the first part of April. I was worried before, but I'm really happy to see these posts. My biggest concern was that DD wouldn't be able to convey her side effects, if any, very well (mommy, it hurts.....)

Anyway, I'm really encouraged now. Thanks for posting and let us know how it goes. Our CF pharmacy requires upfront payment for HS but bills us for everything else.


New member
Our doc keeps saying he "wants to talk about HS" at our next visit but so far he has put if off. But our next visit is the first part of April. I was worried before, but I'm really happy to see these posts. My biggest concern was that DD wouldn't be able to convey her side effects, if any, very well (mommy, it hurts.....)

Anyway, I'm really encouraged now. Thanks for posting and let us know how it goes. Our CF pharmacy requires upfront payment for HS but bills us for everything else.


New member
Our doc keeps saying he "wants to talk about HS" at our next visit but so far he has put if off. But our next visit is the first part of April. I was worried before, but I'm really happy to see these posts. My biggest concern was that DD wouldn't be able to convey her side effects, if any, very well (mommy, it hurts.....)

Anyway, I'm really encouraged now. Thanks for posting and let us know how it goes. Our CF pharmacy requires upfront payment for HS but bills us for everything else.


New member
Dana, what pharmacy do you use? Is it local to you or me? lol...Our dr has also said something about Hypertonic Saline, but so far, nothing.


New member
Dana, what pharmacy do you use? Is it local to you or me? lol...Our dr has also said something about Hypertonic Saline, but so far, nothing.


New member
Dana, what pharmacy do you use? Is it local to you or me? lol...Our dr has also said something about Hypertonic Saline, but so far, nothing.


New member
My son (age 6), just started using it a few months ago. He doesn't like it - the taste and the way it itches his nose (he uses a mask). He is constantly pulling it away from his face during treatment. That said, he endures it and doesn't make a big fuss about it. I can't see that it's helping him or hurting him either way. Hopefully it's helping in a preventative way. His case is pretty mild right now so it's hard for me to judge otherwise. He uses it 2x a day and he still uses Pulmozyme. The company we use bills our Health Insurance under Medical supplies..... which I don't really understand why they don't bill my prescription plan which is different. Perhaps it is not covered under pharmacuetical plans. Our copay isn't that much - the cost is nothing compared to Pulmozyme. One complaint (not really) that I have about HTS, is the nice salty film it leaves if you set down the mask after use (and some of it drips out), or if any drips out when you open the tube. There is definitely a lot of salt in that formula!
Good luck. I'm sure your daughter will do just fine.
6yr old cf
3 yr old no cf


New member
My son (age 6), just started using it a few months ago. He doesn't like it - the taste and the way it itches his nose (he uses a mask). He is constantly pulling it away from his face during treatment. That said, he endures it and doesn't make a big fuss about it. I can't see that it's helping him or hurting him either way. Hopefully it's helping in a preventative way. His case is pretty mild right now so it's hard for me to judge otherwise. He uses it 2x a day and he still uses Pulmozyme. The company we use bills our Health Insurance under Medical supplies..... which I don't really understand why they don't bill my prescription plan which is different. Perhaps it is not covered under pharmacuetical plans. Our copay isn't that much - the cost is nothing compared to Pulmozyme. One complaint (not really) that I have about HTS, is the nice salty film it leaves if you set down the mask after use (and some of it drips out), or if any drips out when you open the tube. There is definitely a lot of salt in that formula!
Good luck. I'm sure your daughter will do just fine.
6yr old cf
3 yr old no cf


New member
My son (age 6), just started using it a few months ago. He doesn't like it - the taste and the way it itches his nose (he uses a mask). He is constantly pulling it away from his face during treatment. That said, he endures it and doesn't make a big fuss about it. I can't see that it's helping him or hurting him either way. Hopefully it's helping in a preventative way. His case is pretty mild right now so it's hard for me to judge otherwise. He uses it 2x a day and he still uses Pulmozyme. The company we use bills our Health Insurance under Medical supplies..... which I don't really understand why they don't bill my prescription plan which is different. Perhaps it is not covered under pharmacuetical plans. Our copay isn't that much - the cost is nothing compared to Pulmozyme. One complaint (not really) that I have about HTS, is the nice salty film it leaves if you set down the mask after use (and some of it drips out), or if any drips out when you open the tube. There is definitely a lot of salt in that formula!
Good luck. I'm sure your daughter will do just fine.
6yr old cf
3 yr old no cf

## What comes next are quantum chemistry results, not part of the entry
This record from OMol25 describes a 6-piece molecular cluster, C24H59NO6 overall in a non-equilibrium geometry. The level of theory is ωB97M-V/def2-TZVPD.

Atoms and positions in Å:
C -3.239 -3.961 2.053
C -1.736 -3.719 1.887
C -1.381 -2.851 3.111
C 0.120 -2.832 3.344
C 0.525 -4.252 3.586
C 0.332 -5.152 2.358
N -1.071 -5.043 2.028
O -1.439 -5.921 1.050
C 1.346 -4.807 1.205
C 0.491 -6.663 2.857
C -1.374 -2.969 0.578
H -3.758 -3.045 1.770
H -3.670 -4.151 3.036
H -3.831 -4.648 1.448
H -1.841 -1.932 2.748
H -1.868 -3.222 4.013
H 0.502 -2.162 4.115
H 0.599 -2.557 2.404
H -0.085 -4.647 4.398
H 1.596 -4.161 3.767
H 2.388 -4.683 1.501
H 1.259 -5.514 0.381
H 1.101 -3.816 0.823
H 1.493 -6.837 3.249
H -0.293 -6.941 3.562
H 0.494 -7.474 2.129
H -2.313 -2.643 0.130
H -1.017 -3.634 -0.208
H -0.687 -2.130 0.690
H -2.087 -6.485 1.478
C -1.773 0.916 -0.168
C -0.362 1.468 -0.100
C 0.378 1.532 -1.442
O -0.497 2.747 0.350
H -1.664 -0.158 -0.320
H -2.313 1.305 -1.031
H -2.300 1.052 0.776
H 0.229 0.935 0.645
H 0.568 0.524 -1.812
H 1.358 2.010 -1.421
H -0.243 1.964 -2.227
H 0.234 3.234 -0.039
C -2.563 -0.184 -3.619
C -1.755 -1.453 -3.157
C -2.650 -2.600 -2.821
O -1.042 -1.971 -4.280
H -2.038 0.768 -3.696
H -3.415 0.010 -2.967
H -3.044 -0.340 -4.585
H -1.008 -1.207 -2.402
H -3.485 -2.351 -2.166
H -2.092 -3.391 -2.321
H -3.119 -2.903 -3.757
H -0.443 -1.273 -4.555
C 3.460 5.807 -0.850
C 2.841 4.536 -0.244
C 3.376 4.306 1.188
O 1.424 4.766 -0.127
H 4.544 5.764 -0.959
H 3.323 6.638 -0.159
H 2.930 5.985 -1.786
H 2.973 3.589 -0.767
H 2.777 3.530 1.664
H 3.362 5.211 1.795
H 4.412 3.971 1.243
H 1.263 5.697 -0.300
C -1.475 0.627 3.696
C -1.202 2.132 3.899
C 0.258 2.457 3.614
O -1.988 2.861 3.086
H -2.537 0.381 3.730
H -1.045 0.042 4.509
H -1.110 0.274 2.732
H -1.374 2.419 4.936
H 0.447 2.293 2.553
H 0.902 1.790 4.188
H 0.485 3.485 3.898
H -1.651 2.747 2.194
C 2.161 3.733 -3.721
C 1.769 4.003 -5.167
C 2.908 4.351 -6.151
O 1.166 2.806 -5.715
H 2.738 4.588 -3.369
H 2.883 2.922 -3.820


Super Moderator
Maggie did not like the HS when we did it in the doc's office. She was trying to show the resp therapist how she could breathe in the medicine, and was breating really fast, kind of showing off. That really got Maggie coughing, ususally she doesn't mind her nebs at all, but she kept wanting the HS to be done. We also do all her nebs with a mask atachment at home to help her sinuses. At the doc's office they used a mouthpiece, so maybe when we try it at home we'll use the mask, plus have TV for distraction. Anyway, we'll see how it goes, I noticed this morning Maggie had mucus from her nose that came out, not to be gross but I wonder if it was the HS that helped get it out? THe resp therapist also said to use albuterol treatment before the HS to help with the coughing.


Super Moderator
Maggie did not like the HS when we did it in the doc's office. She was trying to show the resp therapist how she could breathe in the medicine, and was breating really fast, kind of showing off. That really got Maggie coughing, ususally she doesn't mind her nebs at all, but she kept wanting the HS to be done. We also do all her nebs with a mask atachment at home to help her sinuses. At the doc's office they used a mouthpiece, so maybe when we try it at home we'll use the mask, plus have TV for distraction. Anyway, we'll see how it goes, I noticed this morning Maggie had mucus from her nose that came out, not to be gross but I wonder if it was the HS that helped get it out? THe resp therapist also said to use albuterol treatment before the HS to help with the coughing.